Beaumont study shows reduced hospitalizations and deaths with COVID-19 vaccine
The page is interrupted by data records
Li2LaY2Tl2 | Alexandria | PBE-GGA | optimized geometry; V = 27.23 Å³/atom; formation enthalpy at 0 K = -0.216 eV per atom; space-group type = R-3m, No. 166; N(E_F) = 0.783 states/eV per atom
1.0
4.901 0.000 0.000
2.451 4.245 0.000
2.451 1.415 9.163
Tl Li Y La
2 2 2 1
Cartesian
2.451 1.415 2.097 Tl
7.352 4.245 7.066 Tl
4.901 2.830 2.083 Li
4.901 2.830 7.080 Li
7.352 4.245 3.543 Y
2.451 1.415 5.619 Y
0.000 0.000 0.000 La


Entry from Alexandria: an optimized crystal structure of CaBiTe2 (GGA-PBE).

abc: 6.5567 5.3504 18.4638
angles: 90.00 90.00 90.00
Closest atoms and distances in Å follow each position.
Space group Pnma (No. 62)
Asymmetric unit:
Ca1 0.1794 0.2500 0.0297 [4 per cell]  4 Te 3.14-3.32
Bi1 0.1724 0.7500 0.3421 [4 per cell]  3 Te 2.96-3.04
Te1 0.1094 0.7500 0.1180 [4 per cell]  1 Bi 2.96, 2 Ca 3.17
Te2 0.1357 0.2500 0.4194 [4 per cell]  2 Bi 3.04, 1 Ca 3.14

Output
E (Ry per atom): -0.27258
Spin magnetization (μB per formula unit): 0.0
Uncorrected formation energy (eV per atom): -0.667


Sc4ZnNi2Os | PBE-GGA | optimized geometry

Unit cell a=4.5655 b=4.5655 c=7.9401 alpha=73.29 beta=73.29 gamma=60.00
Closest atoms and distances in Å follow each position.
Element x y z (fractional)
Sc1 0.3791 0.3791 0.8627  1 Os 2.72, 4 Ni 2.77-2.91, 3 Zn 2.83
Sc2 0.8719 0.8719 0.3842  4 Ni 2.73-2.82, 3 Os 2.77, 1 Zn 2.88
Sc3 0.1281 0.1281 0.6158  4 Ni 2.73-2.82, 3 Os 2.77, 1 Zn 2.88
Sc4 0.6209 0.6209 0.1373  1 Os 2.72, 4 Ni 2.77-2.91, 3 Zn 2.83
Zn1 0.0000 0.0000 0.0000  8 Sc 2.83-2.88
Ni1 0.7505 0.7505 0.7484  8 Sc 2.73-2.91
Ni2 0.2495 0.2495 0.2516  8 Sc 2.73-2.91
Os1 0.5000 0.5000 0.5000  8 Sc 2.72-2.77

Output
* M_tot: 0.00 μB per formula unit
* crystal system: trigonal
* raw total energy: -6.640 eV per atom


Here is Sm2ScIn3 after structural relaxation from Alexandria via LeMat-Bulk. Energies are from PBE.

Values from the calculation:
V = 28.70 Å³ per atom
spin magnetization = 0.000 μB/atom
energy relative to the elements = -0.212 eV/atom
excess energy over the best structure of this formula in the dataset = 5.86 kcal/mol of atoms

Cell lengths 5.768, 7.789, 7.789 Å; angles 100.19, 90.00, 90.00 degrees
Fractional coordinates of all 12 atoms:
Sm: 0.750 0.578 0.857
Sm: 0.250 0.143 0.422
Sm: 0.250 0.422 0.143
Sm: 0.750 0.857 0.578
Sc: 0.250 0.898 0.898
Sc: 0.750 0.102 0.102
In: 0.000 0.204 0.796
In: 0.500 0.204 0.796
In: 0.250 0.591 0.591
In: 0.750 0.409 0.409
In: 0.500 0.796 0.204
In: 0.000 0.796 0.204

Here is SmScInSn after structural relaxation from Alexandria via LeMat-Bulk. Energies are from PBE.

Values from the calculation:
V = 25.64 Å³ per atom
spin magnetization = 0.000 μB/atom
energy relative to the elements = -0.458 eV/atom

Cell lengths 5.254, 5.254, 5.254 Å; angles 60.00, 60.00, 60.00 degrees
Fractional coordinates of all 4 atoms:
Sc: 0.000 0.000 0.000
Sn: 0.250 0.250 0.250
Sm: 0.500 0.500 0.500
In: 0.750 0.750 0.750

Here is TbSmScIn after structural relaxation from Alexandria via LeMat-Bulk. Energies are from PBE.
SOUTHFIELD, Mich. (FOX 2) - A study of almost 12,000 COVID-19 patients in southeast Michigan confirms that the COVID-19 vaccine prevents both serious illness and deaths.
Beaumont Health released the results of its large-scale study of 11,834 patients who were treated at Beaumont emergency centers for COVID-19. The results of the study showed that the center visit rate was 96% lower for fully vaccinated patients versus those who are unvaccinated.
Beaumont's study also reported that vaccinated patients with COVID-19 represented only 1% of its COVID-19 emergency care visits during the study. Within the 1%, those who required hospitalization and developed severe illness were typically older and much sicker with underlying conditions.
The study was published Thursday in the medical journal Lancet Regional Health - Americas.
"This study proves what we anecdotally already knew: vaccination protects you from severe COVID infection requiring emergency care, hospitalization and death," said the study’s lead author, emergency medicine physician Dr. Amit Bahl, director of Emergency Ultrasound for Beaumont Hospital, Royal Oak. "The main point is your odds of going to the hospital for COVID if you’re vaccinated is almost zero. You might get ill; you might feel bad for a couple of days. But you’re typically not going to go to the hospital and you’re not going to die."
According to the study, there were 1.29 emergency COVID-19 patients per 100,000 among fully vaccinated individuals. At the same time, there were 12.88 visits per 100,000 partially vaccinated and 22.61 visits per 100,000 unvaccinated patients.
"What this data shows us is that the need for emergency care and/or hospitalization due to breakthrough COVID-19 is an exceedingly rare event in fully vaccinated patients," said Dr. Barbara Ducatman, chief medical officer of Beaumont, Royal Oak. "As vaccination has increased within our region, emergency visits among fully vaccinated individuals have remained low and occur much less frequently when compared to unvaccinated individuals, demonstrating the vaccines’ effectiveness in preventing severe COVID-19 infection."
Regardless of vaccination status, the study shows elderly patients with significant co-morbidities who required hospital-based treatment suffered more severe outcomes.
"This study emphasizes that we need to be very protective of our elderly, shielding them from potential exposure, knowing that they can be so vulnerable," Dr. Ducatman said. "That is especially true for those who may suffer from diabetes, heart or pulmonary disease or other co-morbidities."
The study involved the review of 11,834 patients - none of whom were identified for the study and all visited Beaumont's emergency rooms between Dec. 15, 2020, and April 30, 2021. Of those patients, 10,880 patients were unvaccinated, 825 were partially vaccinated, and 129 were fully vaccinated.
The most significant differences were noted during April when Michigan was experiencing a spike in cases.
No, being asked about your COVID-19 vaccination status is not a HIPAA violation
It is not a HIPAA violation for a business to ask someone if they have gotten the COVID-19 vaccine.